+++
No. 1
Below is a relaxed structure of DyPdPt3, with properties calculated at the PBE level.

```
DyPdPt3
1.0
-2.951 2.285 -2.379
3.192 -1.554 -5.452
-3.582 -5.252 -0.601
Dy Pd Pt
2 2 6
Direct
0.500 0.000 0.249
0.000 0.500 0.751
0.000 0.000 0.545
0.500 0.500 0.455
0.000 0.698 0.245
0.500 0.802 0.755
0.500 0.198 0.755
0.000 0.302 0.245
0.000 0.000 0.952
0.500 0.500 0.048
```

Calculated values
Size of the total moment   0.00 μB per cell
Polymorph energy (0 for the lowest one)   0.000 eV/atom
N(E_F)   1.5016 states/eV per atom
Formation energy   -0.566 eV/atom
DFT total energy   -61.5 eV/cell

***

No. 2
Below is a relaxed structure of Dy2Pd4Pt, with properties calculated at the PBE level.

```
Dy2Pd4Pt
1.0
-2.249 8.236 -3.466
-4.592 -0.063 2.829
4.857 2.502 2.796
Dy Pd Pt
4 8 2
Direct
0.000 0.645 0.290
0.000 0.355 0.710
0.500 0.855 0.710
0.500 0.145 0.290
0.752 0.743 0.000
0.750 0.503 0.500
0.750 0.003 0.500
0.748 0.243 0.000
0.252 0.757 0.000
0.250 0.997 0.500
0.250 0.497 0.500
0.248 0.257 0.000
0.000 0.000 0.000
0.500 0.500 0.000
```

Calculated values
Size of the total moment   0.00 μB per cell
N(E_F)   0.7159 states/eV per atom
Formation energy   -0.578 eV/atom
DFT total energy   -80.1 eV/cell

***

No. 3
Below is a relaxed structure of DyPd2Pt, with properties calculated at the PBE level.

```
DyPd2Pt
1.0
4.664 0.000 0.000
2.332 4.039 0.000
2.332 1.346 3.808
Pd Pt Dy
2 1 1
Direct
0.250 0.250 0.250
0.750 0.750 0.750
0.500 0.500 0.500
0.000 0.000 0.000
```

Calculated values
Size of the total moment   0.00 μB per cell
Polymorph energy (0 for the lowest one)   0.176 eV/atom
N(E_F)   0.5067 states/eV per atom
Formation energy   -0.758 eV/atom
DFT total energy   -24.1 eV/cell

***

No. 4
Below is a relaxed structure of Dy3PdPt, with properties calculated at the PBE level.

```
Dy3PdPt
1.0
5.477 0.074 0.959
-2.656 6.443 -1.612
1.395 -4.181 8.229
Dy Pd Pt
6 2 2
Direct
0.443 0.822 0.155
0.217 0.329 0.666
0.900 0.757 0.753
0.100 0.243 0.247
0.557 0.178 0.845
0.783 0.671 0.334
0.725 0.196 0.517
0.275 0.804 0.483
0.939 0.693 0.015
0.061 0.307 0.985
```

Calculated values
Size of the total moment   0.00 μB per cell
N(E_F)   0.8561 states/eV per atom
Formation energy   -0.846 eV/atom
DFT total energy   -58.5 eV/cell

***

Which value of size of the total moment does entry 1 give?
0.00 μB per cell

***

Which value of size of the total moment does entry 1 give?
0.00 μB per cell


(1)
Cs3CdAu2: optimized geometry, PBE.

Properties
M_tot	0.000	μB per formula unit
crystal system	orthorhombic

```
data_Cs3CdAu2
_cell_length_a 14.2464
_cell_length_b 5.1507
_cell_length_c 15.0441
_cell_angle_alpha 90.00
_cell_angle_beta 90.00
_cell_angle_gamma 90.00
_symmetry_space_group_name_H-M 'P n m a'
_symmetry_Int_Tables_number 62
loop_
_symmetry_equiv_pos_as_xyz
'x,y,z'
'-x,-y,-z'
'-x+1/2,-y,z+1/2'
'x+1/2,y,-z+1/2'
'x+1/2,-y+1/2,-z+1/2'
'-x+1/2,y+1/2,z+1/2'
'-x,y+1/2,-z'
'x,-y+1/2,z'
loop_
_atom_site_label
_atom_site_fract_x
_atom_site_fract_y
_atom_site_fract_z
Cs1 0.0633 0.2500 0.1169
Cs2 0.1257 0.7500 0.5541
Cs3 0.1865 0.2500 0.7991
Cd1 0.1301 0.2500 0.3628
Au1 0.0505 0.7500 0.3200
Au2 0.1945 0.7500 0.9707
```

(2)
Cs3Cd6Au5: optimized geometry, PBE.

Properties
M_tot	0.000	μB per formula unit
crystal system	orthorhombic

```
data_Cs3Cd6Au5
_cell_length_a 4.8833
_cell_length_b 14.4538
_cell_length_c 11.9375
_cell_angle_alpha 90.00
_cell_angle_beta 90.00
_cell_angle_gamma 90.00
_symmetry_space_group_name_H-M 'P m m n'
_symmetry_Int_Tables_number 59
loop_
_symmetry_equiv_pos_as_xyz
'x,y,z'
'-x,-y,-z'
'-x+1/2,-y+1/2,z'
'x+1/2,y+1/2,-z'
'x+1/2,-y,-z'
'-x+1/2,y,z'
'-x,y+1/2,-z'
'x,-y+1/2,z'
loop_
_atom_site_label
_atom_site_fract_x
_atom_site_fract_y
_atom_site_fract_z
Cs1 0.2500 0.1051 0.2499
Cs2 0.2500 0.7500 0.2455
Cd1 0.2500 0.0499 0.9127
Cd2 0.2500 0.2500 0.5329
Cd3 0.2500 0.2500 0.9950
Cd4 0.2500 0.5683 0.4881
Au1 0.2500 0.0736 0.6624
Au2 0.2500 0.6402 0.9865
Au3 0.2500 0.7500 0.5781
```

(3)
Cs2Cd3Au4: optimized geometry, PBE.

Properties
+++

What is needed: filter the notes further above: keep the lines with the word "atom".

Polymorph energy (0 for the lowest one)   0.000 eV/atom
N(E_F)   1.5016 states/eV per atom
Formation energy   -0.566 eV/atom
N(E_F)   0.7159 states/eV per atom
Formation energy   -0.578 eV/atom
Polymorph energy (0 for the lowest one)   0.176 eV/atom
N(E_F)   0.5067 states/eV per atom
Formation energy   -0.758 eV/atom
N(E_F)   0.8561 states/eV per atom
Formation energy   -0.846 eV/atom